Resolutions are normally set in January, but hey, some of us need some time to process the fact that it’s already 2016. Plus, who makes these rules anyways? We say that goals can be set at anytime! And good for you if you feel the need to regroup and focus on staying happy and motivated. This should be done on a daily basis. Here are a few small suggestions on how to make the best of this year.
1. Mornings = new beginnings
We’ve said this before, but waking up with a fresh mind and good intentions is a great way to make sure you are exactly where you want to be. Get up early, make yourself a tea, do some form of meditation or exercise (it can be as short as 1 good yoga pose) and ask yourself: What do I want to accomplish today? How do I want to feel?. You can even write those down if you want and think of ways to help you achieve these goals on a daily basis.

2. Make the time for the things that make you feel great
What makes you feel good? It’s so easy to get caught up in our busy lives, but it’s so important to remember that we only have one life. If you don’t make the time for the things you enjoy, nobody will do it for you. We’re not suggesting that you go get a massage everyday, or that you quit your job, we’re just saying that if cooking those Mahi-mahi tacos you’ve been saving on your ”Scrumptious” Pinterest board since last spring will make you feel awesome, then by all means, DO IT.

## The article is interrupted by calculated molecules
[1]
ORCA calculation (ωB97M-V/def2-TZVPD) on a 5-piece molecular cluster, C30H31BrN5O9 overall at a distorted geometry.

```
! wB97M-V def2-TZVPD RIJCOSX def2/J DEFGRID3
* xyz 1 1
Br 8.54436 -6.20803 -5.34480
O -0.50397 0.41869 1.31966
O -5.26557 5.71308 6.61806
O 11.77206 -4.57100 -1.95808
O -1.79197 2.06101 1.82309
O -6.05538 3.07955 -1.03442
O 6.06917 -3.85432 1.07192
O 4.85560 -5.50249 0.42088
O -5.03894 7.68597 5.78844
O -7.57141 1.77309 -1.82062
N -7.20198 2.83850 -1.36518
N -1.57924 0.99412 1.28617
N 4.99432 -4.34230 0.77596
N -4.78732 6.49864 5.82535
N 8.43999 -4.04850 -3.39669
C 7.15503 -5.03730 -1.74736
C 7.07531 -3.88488 -2.74251
C 3.80514 -3.48744 0.82471
C -3.55513 4.61711 4.82539
C -2.67542 4.12136 3.87558
C -4.75945 -0.76919 -0.83886
C -2.08897 4.98093 2.95596
C -2.48719 -0.85757 -0.05906
C -3.25771 6.84473 3.92953
C 10.08449 -5.92788 -2.93692
C -3.89783 1.03246 0.49362
C -10.06410 5.90085 -0.93158
C -3.83496 5.97123 4.83172
C 8.73425 -5.51099 -3.54072
C -2.37669 6.33962 2.98616
C 11.14580 -4.84507 -2.94234
C 3.95150 -2.15780 1.18408
C 7.58889 -6.14880 -2.71523
C -3.53637 -1.42642 -0.76017
C 2.57417 -4.03424 0.50395
C -7.79668 5.13272 -0.71678
C -2.68661 0.36788 0.55370
C -8.74057 6.13746 -0.58294
C 1.45756 -3.21562 0.53858
C -10.45101 4.65619 -1.41160
C -9.51577 3.64420 -1.55170
C -4.94050 0.45553 -0.21139
C 2.82665 -1.35112 1.21118
C -8.20231 3.90317 -1.20377
C 1.58052 -1.87528 0.88750
H -9.80543 2.67373 -1.92572
H 6.27145 -4.06730 -3.45536
H 10.49610 -6.78132 -3.48089
H -4.01760 3.95937 5.54610
H 2.48651 -5.07636 0.23504
H 4.92204 -1.75883 1.43922
H -3.49090 7.89853 3.96041
H -10.79699 6.69001 -0.82932
H 7.05246 -2.87663 -2.33340
H 6.23268 -5.22512 -1.20170
H -6.76539 5.30575 -0.44817
H -11.48236 4.47383 -1.67959
H -8.44234 7.10657 -0.20791
H 9.94949 -6.25606 -1.90310
H 2.91826 -0.30967 1.48690
H -1.53335 -1.35906 0.00509
H 0.71035 -1.23045 0.91269
H 11.31164 -4.30123 -3.89388
H -5.89125 0.94743 -0.27091
H -2.44929 3.06661 3.85185
H 8.60671 -3.46152 -4.21881
H -4.02989 1.98591 0.98350
H -1.40728 4.58718 2.21450
H 7.96785 -4.82855 -1.04095
H -5.57588 -1.21089 -1.39475
H 7.80279 -7.13695 -2.31646
H 0.48754 -3.62580 0.29248
H -1.91654 7.00821 2.27136
H 9.07292 -3.64441 -2.69579
H -3.40014 -2.38166 -1.24870
H 6.72411 -6.28312 -3.37223
*
```

Output
HOMO	-10.965	eV
Kohn-Sham gap	7.852	eV
LUMO level	-0.11441	Ha

Want to see where the charge sits? The Mulliken charges in e are:
1. Br 0.0105
2. O -0.7041
3. O -0.6047
4. O -0.4273
5. O -0.5424
6. O -0.5965
7. O -0.5851
8. O -0.6560
9. O -0.6094
10. O -0.6051
11. N 1.0286
12. N 0.9377
13. N 1.0165
14. N 1.0220
15. N -0.0918
16. C -0.1165
17. C -0.7106
18. C 0.0821
19. C -0.4636
20. C -0.2626
21. C -0.6086
22. C -0.4500
23. C -0.1839
24. C -0.3796
25. C -0.6574
26. C -0.4219
27. C -0.4345
28. C 0.0993
29. C 0.1749
30. C -0.4756
31. C -0.1892
32. C -0.2993
33. C -1.1964
34. C -0.4918
35. C -0.3562
36. C -0.3461
37. C 0.1638
38. C -0.4672
39. C -0.5003
40. C -0.4501
41. C -0.3314

You don’t have to go jogging outside for 60 minutes at minus 40. But you do have to keep your body somewhat active in order to stay at optimal health and really feel great. Exercising can be better than caffeine. If you start with a little 5 minute routine like this one you can then switch to longer ones once you’re ready.

4. Watch something inspiring
Have you seen all the TED Talks? If not, we highly suggest that you start now. Watch 1 every day. Sometimes a little pep talk from these super inspiring speakers will give you the energy you need to push harder. If you have seen all of these great videos, there’s tons more you could find on Youtube. But you could also subscribe to FMTV (Food Matters TV) for about 8$/month and have access to hundreds of inspiring interviews, recipes, documentaries and more. It’s basically like the Netflix for health junkies.

5. Get a planner
There are great apps out there like Clear that allow you to schedule your time and create to-do lists. If you’re more traditional, you might enjoy a beautiful Planner, like the one in the picture here by Rifle Paper Co. Regardless of how you plan your days, there is no better feeling than knocking things off your checklist. Staying organized can be a great feeling for people who are overwhelmed or stressed.

(Attached: quantum chemistry results)
~~~
(1)
Density functional theory data (ωB97M-V/def2-TZVPD) for an isolated molecule of CFN3O2 at a distorted geometry.

Each line ends with the natural charge from an NBO analysis.
Element x y z (Å)
N: -2.6929 -0.3261 -0.4785  -0.322
C: -1.7189 -0.0240 -0.0031  0.509
O: -0.6929 0.3247 0.6942  -0.334
N: 0.6077 0.3720 0.0537  0.503
O: 0.9115 1.3205 -0.6203  -0.328
N: 1.1664 -0.6931 0.3681  0.127
F: 2.4192 -0.9741 -0.0141  -0.154

Forces on atoms 1 to 6 (eV/Å):
-2.8 -0.9 -1.6
2.6 0.6 0.8
0.3 0.7 1.3
2.0 0.5 -2.3
-0.4 -0.2 0.5
-1.9 -2.5 2.2

Output
* maximum force: 3.858 eV Å⁻¹
* relative energy (zero: lowest compared OMol25 entry of this formula, charge and spin): 61.6 kcal/mol
* gap between HOMO and LUMO: 11.434 eV
* E_HOMO: -12.0 eV
* molecular weight: 105.028 g mol⁻¹
* SMILES string: N#CO/[N+]([O-])=N/F

=====

(2)
Density functional theory data (ωB97M-V/def2-TZVPD) for the ion CFN4S with charge -1 at a distorted geometry.

Each line ends with the natural charge from an NBO analysis.
Element x y z (Å)
C: 0.7125 -0.1229 0.5417  0.015
N: -0.6973 1.1772 1.0576  -0.242
N: -1.4289 1.0239 0.0849  -0.050
N: -1.1561 0.2169 -0.8527  -0.272
N: 0.0642 -0.3954 -0.5334  0.073
F: 0.4254 -1.2980 -1.5610  -0.218
S: 2.0801 -0.6017 1.2629  -0.306

Forces on atoms 1 to 6 (eV/Å):
-2.5 1.8 0.2
2.9 -1.9 0.2
-0.5 0.1 -0.4
-0.6 -0.6 -1.5
0.1 0.0 -0.1
-0.3 1.0 1.3

Output
* maximum force: 3.518 eV Å⁻¹
* relative energy (zero: lowest compared OMol25 entry of this formula, charge and spin): 84.3 kcal/mol
* total charge: -1
* gap between HOMO and LUMO: 7.397 eV
* E_HOMO: -3.6 eV
* molecular weight: 119.104 g mol⁻¹

=====

(3)
Density functional theory data (ωB97M-V/def2-TZVPD) for a cluster of 2 separate species, CFNO4S in total at a distorted geometry.

Each line ends with the natural charge from an NBO analysis.
Element x y z (Å)
C: -2.9817 0.0679 -0.0507  0.564
N: -1.8649 0.3700 0.0472  -0.747
O: -4.1217 -0.3454 0.0288  -0.813
O: 1.2242 -1.3033 0.5788  -0.961
O: 1.5437 1.2150 0.8229  -0.979
O: 1.4331 0.2437 -1.3972  -0.973
F: 3.2487 -0.2526 -0.0192  -0.658
S: 1.5185 0.0048 -0.0107  2.568

Forces on atoms 1 to 6 (eV/Å):
-0.4 -0.7 0.9
2.0 1.0 -0.5
-1.9 -0.3 -0.5
-0.9 1.7 -0.7
-1.0 -1.6 -0.5
-1.5 -0.2 -2.0

Output
* maximum force: 4.768 eV Å⁻¹
* relative energy (zero: lowest compared OMol25 entry of this formula, charge and spin): 0.0 kcal/mol
* total charge: -2
* gap between HOMO and LUMO: 7.303 eV
* E_HOMO: -0.7 eV
* molecular weight: 141.079 g mol⁻¹

=====

(4)
Density functional theory data (ωB97M-V/def2-TZVPD) for a cluster of 4 separate species, CH10N2O3 in total at a distorted geometry.

Each line ends with the natural charge from an NBO analysis.
Element x y z (Å)
H: -1.7449 0.5842 -1.6815  0.355
N: -1.5534 0.2786 -0.6895  -0.801
C: -1.4283 -0.9951 -0.6506  0.319
N: -0.6417 -1.7379 0.1660  -0.831
H: -1.7235 -1.5432 -1.5322  0.127
H: -0.3131 -2.6455 -0.1015  0.394
H: -0.0223 -1.1477 0.7538  0.422
O: 0.7122 0.0471 1.9379  -0.988
H: 0.4056 0.9264 1.6761  0.515
~~~

6. Let go of your phone
We’re all guilty. Spending WAY too much time on our phones. Do you find yourself feeling strange when you look up or outside the window for more than 15 seconds? That’s probably a sign that you’ve been looking down at your phone too much and you’re missing out on your life and probably getting arthritis in your neck (but maybe i’m exaggerating). Take a break, you don’t need to bring it with you to the bathroom, do you? If you have an office job, you will find it will greatly improve your mood and productivity if you take a 10-15 minute walk down the hall or outside if you can, WITHOUT YOUR PHONE. Just doing nothing. Look outside, talk to people, THINK.
That’s it for our little list. Hopefully some of these tips will inspire you in some way.
Thanks for reading!
The post 6 Ways to Stay Motivated in 2016 appeared first on Little Life Blog.